Browse resources created and collated by ARIIA as a trusted, evidence-based guide to supporting innovation across the aged care sector.

Australians urged to seek out timely dementia diagnosis
This resource from the University of Sydney provides readers with information on the importance of seeking early dementia diagnosis. It provides readers with a checklist to identify dementia symptoms and advice on starting difficult conversations with family members and GP.

Crystal structures, as found in the file:
-- begin --
# K2Zr | Alexandria | PBEsol | optimized geometry
# total energy	-19.81	eV per cell
# formation energy from the elements	0.483	eV/atom
# distance to the lowest polymorph of the same formula	0	meV/atom
data_K2Zr
_chemical_formula_sum 'K4 Zr2'
_cell_length_a 18.175
_cell_length_b 18.175
_cell_length_c 4.363
_cell_angle_alpha 90.00
_cell_angle_beta 90.00
_cell_angle_gamma 168.70
_symmetry_space_group_name_H-M 'P 1'
_symmetry_Int_Tables_number 1
loop_
_symmetry_equiv_pos_as_xyz
'x,y,z'
loop_
_atom_site_label
_atom_site_type_symbol
_atom_site_fract_x
_atom_site_fract_y
_atom_site_fract_z
K1 K 0.053 0.947 0.750
K2 K 0.341 0.659 0.750
K3 K 0.659 0.341 0.250
K4 K 0.947 0.053 0.250
Zr1 Zr 0.253 0.747 0.250
Zr2 Zr 0.747 0.253 0.750
-- stop --
The entry goes on:

Dementia in Australia
This report from the Australian Institute of Health and Welfare presents information about dementia in Australia, which includes topics such as population health impacts, health services used by people with dementia, and health and aged care expenditure.

Dementia facts and figures
This webpage from Dementia Australia offers comprehensive details on Australian dementia prevalence estimates and future projections, as modelled by the National Centre for Monitoring Dementia (NCMD). Prevalence estimates for the following were provided: National, state, territory; federal electoral divisions; electoral divisions; local government areas; and younger onset dementia.

Inserted here: materials data
____________
Entry from Alexandria: a relaxed BaNdY2 crystal (PBE).

Cell: 3.7460 3.7460 10.8912 Å, 90.00 90.00 90.00°
Positions (direct):
Ba  0.0000  0.0000  0.0000
Nd  0.0000  0.0000  0.5000
Y  0.5000  0.5000  0.2804
Y  0.5000  0.5000  0.7196

Computed properties:
* ΔH_f (0 K): 0.15 eV/atom
* M_tot: 0.000 μB per atom

Entry from Alexandria: a relaxed KCoBr4 crystal (PBE).

Cell: 6.5116 6.5116 6.5116 Å, 60.00 60.00 60.00°
Positions (direct):
K  0.0000  0.0000  0.0000
Co  0.2500  0.2500  0.2500
Br  0.1272  0.6243  0.6243
Br  0.6243  0.1272  0.6243
Br  0.6243  0.6243  0.1272
Br  0.6243  0.6243  0.6243

Computed properties:
* ΔE_f (raw): 0.402 eV per atom
* M_tot: 0.669 μB per atom
____________

Meaningful engagement and partnerships in research with people living with dementia and their family
When reflecting on the experience of researching in partnership with people living with dementia and their carers, Dr. Domenica Disalvo, in this blog, acknowledges both the challenges and benefits of co-designing. However, there is a need for researchers to be both flexible and creative in adapting their engagement approaches to enable people living with dementia to fully participate in research, generating real insights into their needs and preferences for care.

Staying at Home: Innovative carer respite and well-being program
Our current blog explores the challenges faced by family carers of individuals living with dementia and highlights the positive impact of the Staying at Home (SAH) program delivered nationally by Dementia Support Australia. Tom Gauci explains how SAH, as an innovative carer well-being and respite program, can empower family carers by encouraging early access to respite, and by providing tools and confidence to navigate changes in their caregiving role.

Helping people living with dementia to look after their eyes
This blog highlights the importance of addressing preventable sight loss for people living with dementia, often due to treatable conditions such as cataract or outdated glasses. It reminds us of the importance of regular eye tests for people living with dementia in any care setting, to detect and address sight problems. This can help them maintain quality of life and continue doing what they value.

Responding to the person: Dementia behaviour support and beyond
Discover how Dementia Support Australia is actively delivering behaviour support services throughout Australia, in partnership with both caregivers and care providers. Feedback is an important part of shaping how support is delivered and how we respond to these programs.

Equip aged care learning packages: Supporting people living with dementia
The Equip Aged Care Learning Packages from the University of Tasmania (Wicking Dementia Centre) are freely available to anyone interested in the aged care sector to help enhance knowledge and keep up to date with current practices. One of the modules is specific to supporting people living with dementia and can be accessed by enrolling in the course.

Should we move our loved one with dementia into a nursing home?
This article from The University of Sydney provides insights about important things to consider when deciding to move a loved one with dementia into a nursing home.

Developing behavioural interventions to manage responsive behaviours
This toolkit from Dementia Training Australia focuses on assessing and managing behavioural interventions for people living with dementia. It also links to resources to assess for wandering in long term care and in community and video presentation with slides on developing behavioural interventions.